الخرطوم تسمح بدخول محدود للامم المتحده لكادقلي الساخطة على نهب مقراتها

الخرطوم تسمح بدخول محدود للامم المتحده لكادقلي الساخطة على نهب مقراتها

07-01-2011, 00:18 AM

  » http://sudaneseonline.com/cgi-bin/sdb/2bb.cgi?seq=msg&board=340&msg=1309475916&rn=1

Post: #1
Title: الخرطوم تسمح بدخول محدود للامم المتحده لكادقلي الساخطة على نهب مقراتها
Author: عمار عوض
Date: 07-01-2011, 00:18 AM
Parent: #0

Quote: الامم المتحدة (رويترز) - قال متحدث باسم الأمم المتحدة يوم الخميس ان حكومة السودان وافقت على السماح للمنظمة الدولية بزيارات محدودة لمدينة كادقلي عاصمة ولاية جنوب كردفان التي شهدت عمليات قتل ونهب قبل الانفصال المقرر لجنوب السودان.
واضاف المتحدث فرحان حق ان الوصول دون عوائق الى عاصمة ولاية جنوب كردفان لا يزال امرا بعيد المنال.

ومن المقرر ان يصبح جنوب السودان دولة افريقية مستقلة في التاسع من يوليو تموز بعد ان صوت الجنوبيون لصالح الانفصال في استفتاء اجري في يناير كانون الثاني بموجب اتفاق سلام 2005 الذي انهى عقودا من الحرب الاهلية.

وتصاعدت التوترات في ولاية جنوب كردفان وهي ولاية منتجة للنفط تقع في الاراضي الشمالية وستضم الكثير من ثروات البلاد النفطية في المستقبل بعد انفصال الجنوب. ويخوض الجيش السوداني معارك مع جماعات مسلحة متحالفة مع الجنوبيين.

وقال حق استنادا الى معلومات من مكتب الامم المتحدة لتنسيق الشؤون الانسانية ان جميع محتويات مكاتب المنظمة الدولية تعرضت للنهب باستثناء مكتب صندوق الامم المتحدة للطفولة (يونيسيف) ووكالة أخرى.

واستطرد انه في حين سمحت حكومة السودان بزيارات لمناطق في بلدة كادقلي الا ان "الوصول دون عوائق الى السكان المتضررين ما زال غير متاح".

• Inserted here: records of molecules:
w) Molecular formula: C4H11N3
Method: DFT, the ωB97M-V functional and the def2-TZVPD basis

Cartesian coordinates (Å):
C (0.661, -0.617, -1.858)
C (-0.766, -0.431, -1.103)
C (-1.136, -1.501, -0.052)
C (-0.272, 1.289, 0.434)
H (1.402, -0.818, -1.026)
H (0.572, -1.440, -2.604)
H (0.887, 0.287, -2.497)
H (-1.566, -0.346, -1.935)
H (-0.149, -1.942, 0.231)
H (-1.945, -2.340, -0.254)
H (-1.539, -0.979, 0.777)
H (-0.371, 2.302, 0.773)
H (0.589, -0.262, 1.072)
H (0.668, 2.285, 2.464)
H (2.073, 1.514, 2.511)
N (-0.923, 0.919, -0.517)
N (0.748, 0.718, 1.158)
N (1.069, 1.363, 2.425)

Gap between HOMO and LUMO: 9.66 eV
SMILES: CC(C)/N=C\NN



x) Molecular formula: C4H11N3
Method: DFT, the ωB97M-V functional and the def2-TZVPD basis

Cartesian coordinates (Å):
C (0.427, -0.466, -0.116)
C (0.253, 0.582, 1.008)
C (-0.782, -1.414, -0.142)
N (0.635, 0.215, -1.388)
N (1.645, -1.210, 0.212)
C (-0.646, 1.744, 0.762)
N (-1.400, 1.846, -0.237)
H (-0.126, 0.866, -1.544)
H (0.625, -0.464, -2.144)
H (1.546, -2.205, -0.011)
H (2.432, -0.829, -0.333)
H (-1.942, 2.706, -0.290)
H (-0.116, 0.067, 1.899)
H (1.231, 0.970, 1.250)
H (-0.549, 2.523, 1.531)
H (-0.665, -2.153, -0.934)
H (-1.686, -0.839, -0.329)
H (-0.881, -1.940, 0.805)

Gap between HOMO and LUMO: 10.02 eV
SMILES: [H]/N=C/CC(C)(N)N



y) Molecular formula: C4H11N3
Method: DFT, the ωB97M-V functional and the def2-TZVPD basis

Cartesian coordinates (Å):
C (-0.087, -0.488, -0.945)
C (-0.892, 0.518, -0.149)
C (-0.383, 0.623, 1.284)
C (0.998, 0.550, 1.480)
N (1.498, 0.410, 2.807)
N (-1.289, 0.767, 2.225)
N (0.061, -1.236, -3.450)
H (-0.138, -1.510, -0.532)
H (0.988, -0.319, -0.775)
H (-0.796, 1.547, -0.627)
H (-1.964, 0.297, -0.185)
H (1.758, 0.645, 0.722)
H (1.551, -0.573, 3.055)
H (0.922, 0.872, 3.501)
H (-0.684, -1.788, -3.850)
H (-2.061, 1.200, 1.719)
H (0.722, -0.871, -4.126)
H (-0.205, -0.643, -2.156)

Gap between HOMO and LUMO: 3.92 eV



z) Molecular formula: C4H11N3
Method: DFT, the ωB97M-V functional and the def2-TZVPD basis

Cartesian coordinates (Å):
C (1.627, -0.763, -0.824)
N (0.252, -0.907, -0.400)
N (-0.735, -1.177, -1.350)
H (-0.340, -1.133, -2.300)
H (2.286, -0.913, 0.039)
H (1.897, -1.532, -1.557)
H (1.846, 0.211, -1.268)
C (0.202, 1.490, 0.494)
C (-1.090, -0.394, 1.608)
C (-0.506, 0.156, 0.308)
N (-1.506, 0.135, -0.773)
H (-1.336, 0.887, -1.442)
H (-0.502, 2.232, 0.885)
H (-0.306, -0.522, 2.362)
H (0.590, 1.888, -0.449)
H (1.032, 1.410, 1.204)
H (-1.573, -1.364, 1.450)
H (-1.836, 0.295, 2.014)

Gap between HOMO and LUMO: 8.39 eV
SMILES: CN1NNC1(C)C



Question: of the structures shown, which is the most stable? Reply: x).


No. 1
{
  "formula": "C23H25CaN4O2S",
  "method": "wB97M-V/def2-TZVPD",
  "species": ["Ca", "C", "C", "N", "N", "C", "O", "C", "C", "C", "C", "C", "C", "C", "C", "C", "C", "C", "N", "H", "H", "H", "H", "H", "H", "H", "H", "H", "H", "H", "H", "S", "C", "C", "C", "C", "C", "N", "H", "H", "H", "H", "C", "C", "C", "C", "O", "H", "H", "H", "H", "H", "H", "H", "H", "H"],

وقال "تواصل وكالات الامم المتحدة مناقشة الاحتياجات الملحة مع حكومة السودان للوصول الى مناطق أخرى."
وولاية جنوب كردفان مهمة للشمال لانها تضم معظم حقول النفط المنتجة التي ستظل تحت سيطرة الخرطوم بعد الانفصال. وبامكان الجنوب الحصول على نحو 75 في المئة من انتاج النفط السوداني الذي يبلغ 500 الف برميل يوميا.

وتقع الولاية أيضا على الحدود مع منطقة أبيي المتنازع عليها ومنطقة دارفور في غرب السودان والتي تشهد تمردا آخر.

ووافق مجلس الامن الدولي بالاجماع على قرار صاغته الولايات المتحدة يقضي بنشر 4200 جندي اثيوبي في منطقة أبيي لمدة ستة اشهر.

Post: #2
Title: Re: الخرطوم تسمح بدخول محدود للامم المتحده لكادقلي الساخطة على نهب مقر
Author: عمار عوض
Date: 07-01-2011, 00:28 AM

Quote: By MAGGIE FICK and JASON STRAZIUSO, Associated Press Maggie Fick And Jason Straziuso, Associated Press – Thu Jun 30, 2:10 pm ET
JUBA, Sudan – The U.N. said in a report Thursday that Sudan is denying it full access to tens of thousands of civilians near an area between north and south Sudan where violence continues less than 10 days before Southern Sudan becomes the world's newest nation.

The Nuba people — black Africans who have opposed the rule of Sudan's Arab north — have streamed into the Nuba Mountains in search of safety from attacks by Sudan's military in Southern Kordofan, a part of Sudan's north. At least 73,000 have fled.

An internal U.N. report has said that dozens have been killed by aerial bombardments and gunfire attacks amid reports of door-to-door searches for black Nuba tribesman by the northern military. Because the U.N. and other aid groups cannot access the area, there are no firm numbers.

Attacks on the Nuba began on June 5 and included the bombing of a U.N. airstrip in Kauda — a large town and Nuba stronghold — preventing aid workers and U.N. personnel from flying in. The Nuba people generally support Southern Sudan and have fought alongside its military against the north during a decades-long civil war that ended in 2005.

A U.N. Office for the Coordination for Humanitarian Affairs report issued Thursday said that it received reports of aerial attacks from June 25-27 that weren't verified but were supported by photographic evidence and eyewitness reports.

The U.N. report says that the Sudanese government has granted humanitarian access to limited areas of Kadugli where aid groups have offices, but that "access to all other locations continues to be denied."

The International Rescue Committee said Thursday that international aid agencies also can't access Southern Kordofan. Nearly all international staff working for aid groups and the U.N. peacekeeping mission have been evacuated.

"We're extremely worried about the safety and well-being of people who live there. We're hearing stories of horrible atrocities," said Susan Purdin who oversees International Rescue Committee programs in Southern Sudan. "There have been numerous reports of targeted ethnic and political killings, the burning and #####ng of homes and businesses and intense aerial bombardments by the northern military

Also on Thursday, a U.S.-based group that monitors violence in Sudan said it has visual evidence to corroborate reports that Sudan has bombed 10 towns and villages in the Nuba Mountains. The Satellite Sentinel Project said its satellite imagery captured four airplanes and five helicopters at Sudan's El Obeid air base. The group said the planes support allegations that Antonov and ground strike fighters are bombing targets in South Kordofan.

"The government of Sudan's bombardment of its own civilian population in the Nuba Mountains is in common with its previous ethnic cleansing campaigns in Darfur and in the disputed border region of Abyei," said John C. Bradshaw of the Enough Project.

The Nuba people — who practice Islam, Christianity and animism — have been targeted by Khartoum before. A northern military campaign in the 1990s killed as many as 200,000 Nubans. Many experts deemed the attacks a genocide.

Some Sudan experts are using the same words to describe the recent violence.

"The Sudanese Army and militias are systematically hunting down and murdering all Nuba who could fight back, that is who previously have experience fighting with the (southern army)," said Gregory Stanton, professor of genocide studies and prevention at George Mason University and the president of the U.S.-based group Genocide Watch.

"They are also murdering, raping, and pillaging all over the Nuba mountains. This is already genocide," said Stanton.

A spokesman for the north said military forces are not targeting civilians.

Samuel Totten, a genocide scholar at the University of Arkansas, Fayetteville, said the violence in the Nuba Mountains "could very well be genocide" but that evidence to substantiate such a declaration does not exist. He said that now is not the time to debate whether genocide is taking place, but to halt the atrocities, protect civilians and arrest those in charge who ordered the killings.

The Convention on the Prevention and Punishment of Genocide says that genocide happens when acts are committed with the intent to destroy in whole or in part a national, ethnic, racial or religious group.

"Clearly you have ethnic cleansing going on, and if this is not genocide, this is clearly the road to genocide and will lead to genocide under anyone's definition unless strong action occurs," said Thomas Andrews of the Washington-based Genocide Intervention Network.

Internal U.N. security reports obtained by The Associated Press since the violence began June 5 show that Sudanese staff, particularly those from the Nuba ethnic group, working for U.N. agencies have been attacked, and some shot or disappeared, in their attempts to flee the state.

A U.N. report dated Wednesday said that two U.N. staff members are being held by Sudanese officials in Kadugli. Three staff members previously held have been released

In a related development on Tuesday, the northern government and representatives of the southern-aligned opposition forces they are fighting in Southern Kordofan signed an agreement aimed at restoring peace in Southern Kordofan and neighboring Blue Nile. Support is strong for the south's ruling party and the southern army in these two northern states.

A spokesman for Sudan's ruling National Congress Party said Khartoum is working to achieve peace in Southern Kordofan.

"It is not correct that our forces are targeting civilians in the area, on the contrary the government is trying to establish security," said Rabie A. Atti. "No killing. No #####ng."

Atti said that Abdel Aziz Al-Hilu, who lost elections held in the state last month is leading an "illegal" political party due to the group's alliance with the south's ruling Sudan People's Liberation Movement.

"They are now working against the legal government," he added.

The deal brokered Tuesday by the African Union's panel on Sudan is not a ceasefire, but calls on southern-aligned forces active in the two northern states to be integrated into the northern army.

Although the agreement specifically notes that force will not be used to disarm any opposition fighters, a Sudan expert said he doubted men from the Nuba Mountains would relinquish their weapons without a fight.

"Considering the current context, there is little reason to believe they will trust the commitments that were made the other day," Matthew LeRiche, a fellow at the London School of Economic who studies conflict in Sudan. "Disarmament inevitably leads to a fight


Post: #3
Title: Re: الخرطوم تسمح بدخول محدود للامم المتحده لكادقلي الساخطة على نهب مقر
Author: Tragie Mustafa
Date: 07-01-2011, 05:54 AM
Parent: #2

عمار صباح الخير

الجماعه قلت لي آخر انبطاحه(هههههههه)!